### Given
A plane-wave DFT calculation with GGA+U was carried out for an optimized crystal structure of MgCr2Fe3NiP6O24.

## Properties
Electronic total energy (eV for the cell shown): -257.46
V (Å³ per atom): 12.25

a = 8.7551 Å, b = 8.4435 Å, c = 8.4838 Å
α = 61.74°, β = 60.31°, γ = 60.93°
Last column: nearest neighbours and their distance in Å.
Sites, in units of the cell vectors:
Ni (0.8466, 0.8636, 0.8573)  5 O 1.97-2.09
O (0.7748, 0.4014, 0.5695)  1 P 1.53
O (0.4072, 0.5610, 0.7505)  1 P 1.55
Mg (0.1253, 0.3771, 0.7588)  5 O 2.08-2.24
O (0.1785, 0.3937, 0.9627)  1 P 1.57
O (0.4095, 0.9896, 0.1726)  1 P 1.54
O (0.6013, 0.0173, 0.8123)  1 P 1.49
O (0.2456, 0.0721, 0.9066)  1 P 1.63
O (0.3060, 0.4684, 0.1178)  1 P 1.52
O (0.4868, 0.8933, 0.6819)  1 P 1.51
O (0.0570, 0.9189, 0.2449)  1 P 1.60
O (0.1061, 0.3186, 0.5573)  1 P 1.56
P (0.0286, 0.7647, 0.4513)  4 O 1.50-1.60
O (0.0451, 0.1889, 0.3884)  1 P 1.53
O (0.2159, 0.5917, 0.4494)  1 P 1.58
Cr (0.5143, 0.4945, 0.4924)  5 O 2.13-2.34
O (0.5911, 0.4323, 0.2424)  1 P 1.57
O (0.4142, 0.2587, 0.6039)  1 P 1.61
O (0.9469, 0.0846, 0.7583)  1 P 1.56
O (0.8746, 0.7007, 0.4895)  1 P 1.52
P (0.7382, 0.4590, 0.0360)  4 O 1.51-1.61
O (0.6536, 0.5043, 0.8944)  1 P 1.52
P (0.4549, 0.0466, 0.7501)  4 O 1.49-1.63
Fe (0.3530, 0.3588, 0.3488)  5 O 1.89-2.10
O (0.9926, 0.8418, 0.5980)  1 P 1.50
P (0.9661, 0.2492, 0.5658)  4 O 1.53-1.56
O (0.7502, 0.9448, 0.0964)  1 P 1.56
P (0.2473, 0.5435, 0.9467)  4 O 1.52-1.57
O (0.4923, 0.1058, 0.3350)  1 P 1.52
Fe (0.1675, 0.1295, 0.1571)  5 O 1.89-2.11
O (0.8243, 0.6023, 0.9838)  1 P 1.51
P (0.5533, 0.9503, 0.2524)  4 O 1.52-1.56
Cr (0.9949, 0.9940, 0.0040)  6 O 2.04-2.24
Fe (0.6409, 0.6476, 0.6413)  6 O 1.93-2.12
O (0.5707, 0.7488, 0.4019)  1 P 1.56
O (0.0929, 0.7404, 0.9492)  1 P 1.55
O (0.9101, 0.2638, 0.0212)  1 P 1.61

* * * * *

No. 1
# Y15Ni28P21 (PBE-GGA, optimized geometry)
data_Y15Ni28P21
_chemical_formula_sum 'Y30 Ni56 P42'
_space_group_name_H-M_alt 'P 1'
_space_group_IT_number 1
_cell_length_a 23.985
_cell_length_b 23.985
_cell_length_c 3.838
_cell_angle_alpha 90.00
_cell_angle_beta 90.00
_cell_angle_gamma 120.00
loop_
_space_group_symop_operation_xyz
'x,y,z'
loop_
_atom_site_label
_atom_site_type_symbol
_atom_site_fract_x
_atom_site_fract_y
_atom_site_fract_z
Y1 Y 0.070 0.828 0.250
Y2 Y 0.093 0.680 0.250
Y3 Y 0.118 0.533 0.250
Y4 Y 0.145 0.387 0.250
Y5 Y 0.172 0.242 0.250
Y6 Y 0.242 0.070 0.750
Y7 Y 0.242 0.855 0.250
Y8 Y 0.268 0.707 0.250
Y9 Y 0.293 0.561 0.250
Y10 Y 0.320 0.413 0.250
Y11 Y 0.387 0.242 0.750
Y12 Y 0.413 0.093 0.750
Y13 Y 0.415 0.882 0.250
Y14 Y 0.439 0.732 0.250
Y15 Y 0.467 0.585 0.250
Y16 Y 0.533 0.415 0.750
Y17 Y 0.561 0.268 0.750
Y18 Y 0.585 0.118 0.750
Y19 Y 0.587 0.907 0.250
Y20 Y 0.613 0.758 0.250
Y21 Y 0.680 0.587 0.750
Y22 Y 0.707 0.439 0.750
Y23 Y 0.732 0.293 0.750
Y24 Y 0.758 0.145 0.750
Y25 Y 0.758 0.930 0.250
Y26 Y 0.828 0.758 0.750
Y27 Y 0.855 0.613 0.750
Y28 Y 0.882 0.467 0.750
Y29 Y 0.907 0.320 0.750
Y30 Y 0.930 0.172 0.750
Ni1 Ni 0.007 0.464 0.750
Ni2 Ni 0.019 0.389 0.250
Ni3 Ni 0.031 0.316 0.750
Ni4 Ni 0.036 0.934 0.250
Ni5 Ni 0.043 0.242 0.250
Ni6 Ni 0.061 0.175 0.750
Ni7 Ni 0.066 0.102 0.250
Ni8 Ni 0.102 0.036 0.750
Ni9 Ni 0.114 0.939 0.750
Ni10 Ni 0.136 0.788 0.750
Ni11 Ni 0.160 0.640 0.750
Ni12 Ni 0.175 0.114 0.250
Ni13 Ni 0.186 0.494 0.750
Ni14 Ni 0.199 0.957 0.250
Ni15 Ni 0.212 0.348 0.750
Ni16 Ni 0.242 0.199 0.750
Ni17 Ni 0.285 0.969 0.750
Ni18 Ni 0.308 0.814 0.750
Ni19 Ni 0.316 0.285 0.250
Ni20 Ni 0.333 0.667 0.750
Ni21 Ni 0.348 0.136 0.250
Ni22 Ni 0.360 0.519 0.750
Ni23 Ni 0.370 0.981 0.250
Ni24 Ni 0.389 0.370 0.750
Ni25 Ni 0.456 0.993 0.750
Ni26 Ni 0.464 0.456 0.250
Ni27 Ni 0.481 0.840 0.750
Ni28 Ni 0.494 0.308 0.250
Ni29 Ni 0.506 0.692 0.750
Ni30 Ni 0.519 0.160 0.250
Ni31 Ni 0.536 0.544 0.750
Ni32 Ni 0.544 0.007 0.250
Ni33 Ni 0.611 0.630 0.250
Ni34 Ni 0.630 0.019 0.750
Ni35 Ni 0.640 0.481 0.250
Ni36 Ni 0.652 0.864 0.750
Ni37 Ni 0.667 0.333 0.250
Ni38 Ni 0.684 0.715 0.750
Ni39 Ni 0.692 0.186 0.250

### Activity
Filter the lines earlier on: keep the lines with the word "Ni8".

### Done
Ni8 Ni 0.102 0.036 0.750